The reader should echo the whole of the material further below unchanged.

DFT (PBE) results for a relaxed NaDy3Ti2Sb2O14 crystal.

Calculated values
Crystal system   monoclinic
E_form   -3.14 eV/atom
E   -336.05 eV/cell
Calculated volume   546.6 Å³/cell
E (MP2020)   -355.28 eV per cell
Total magnetization   0.0 μB per formula unit
Distance to the lowest polymorph of the same formula   10.7 kJ/mol of formula units

Geometry as CIF:
```
data_NaDy3Ti2Sb2O14
_chemical_formula_sum 'Na2 Dy6 Ti4 Sb4 O28'
_cell_length_a 12.519
_cell_length_b 7.357
_cell_length_c 7.210
_cell_angle_alpha 90.00
_cell_angle_beta 124.61
_cell_angle_gamma 90.00
_symmetry_space_group_name_H-M 'C 1 2/m 1'
_symmetry_Int_Tables_number 12
_symmetry_space_group_name_Hall '-C 2y'
loop_
_atom_site_label
_atom_site_type_symbol
_atom_site_fract_x
_atom_site_fract_y
_atom_site_fract_z
Na1 Na 0.000 0.000 0.000
Dy1 Dy 0.000 0.000 0.500
Dy2 Dy 0.250 0.250 0.000
Ti1 Ti 0.000 0.500 0.000
Ti2 Ti 0.000 0.500 0.500
Sb1 Sb 0.250 0.250 0.500
O1 O 0.072 0.500 0.820
O2 O 0.124 0.298 0.579
O3 O 0.130 0.307 0.175
O4 O 0.133 0.000 0.869
O5 O 0.169 0.000 0.427
```

=====

DFT (PBE) results for a relaxed NaSrDySeO6 crystal.

Calculated values
Crystal system   cubic
E_form   -2.44 eV/atom
E   -244.39 eV/cell
Calculated volume   521.0 Å³/cell
E (MP2020)   -260.88 eV per cell
Total magnetization   0.0 μB per formula unit

Geometry as CIF:
```
data_NaSrDySeO6
_chemical_formula_sum 'Na4 Sr4 Dy4 Se4 O24'
_cell_length_a 8.047
_cell_length_b 8.047
_cell_length_c 8.047
_cell_angle_alpha 90.00
_cell_angle_beta 90.00
_cell_angle_gamma 90.00
_symmetry_space_group_name_H-M 'F -4 3 m'
_symmetry_Int_Tables_number 216
_symmetry_space_group_name_Hall 'F -4 2 3'
loop_
_atom_site_label
_atom_site_type_symbol
_atom_site_fract_x
_atom_site_fract_y
_atom_site_fract_z
Na1 Na 0.000 0.000 0.000
Sr1 Sr 0.000 0.000 0.500
Dy1 Dy 0.250 0.250 0.250
Se1 Se 0.250 0.250 0.750
O1 O 0.024 0.250 0.750
```

=====

DFT (PBE) results for a relaxed NaDyTi2O6 crystal.

Calculated values
Crystal system   orthorhombic
E_form   -3.44 eV/atom
E   -163.42 eV/cell
Calculated volume   225.6 Å³/cell
E (MP2020)   -171.67 eV per cell
Total magnetization   0.0 μB per formula unit

Geometry as CIF:
```
data_NaDyTi2O6
_chemical_formula_sum 'Na2 Dy2 Ti4 O12'
_cell_length_a 7.637
_cell_length_b 5.541
_cell_length_c 5.331
_cell_angle_alpha 90.00
_cell_angle_beta 90.00
_cell_angle_gamma 90.00
_symmetry_space_group_name_H-M 'P m n 21'
_symmetry_Int_Tables_number 31
_symmetry_space_group_name_Hall 'P 2ac -2'
loop_
_atom_site_label
_atom_site_type_symbol
_atom_site_fract_x
_atom_site_fract_y
_atom_site_fract_z
Na1 Na 0.000 0.217 0.000
Dy1 Dy 0.000 0.680 0.523
Ti1 Ti 0.248 0.235 0.517
O1 O 0.000 0.274 0.428
O2 O 0.000 0.775 0.107
O3 O 0.198 0.946 0.697
O4 O 0.209 0.465 0.783
```

=====

DFT (PBE) results for a relaxed NaDyS2 crystal.

Calculated values
Crystal system   trigonal
E_form   -2.09 eV/atom
E   -64.73 eV/cell
Calculated volume   274.7 Å³/cell
E (MP2020)   -67.75 eV per cell

Geometry as CIF:
```
data_NaDyS2
_chemical_formula_sum 'Na3 Dy3 S6'
_cell_length_a 3.9888
_cell_length_b 3.9888
_cell_length_c 19.9349
_cell_angle_alpha 90.00
_cell_angle_beta 90.00
_cell_angle_gamma 120.00
_symmetry_space_group_name_H-M 'R -3 m'
_symmetry_Int_Tables_number 166
_symmetry_space_group_name_Hall '-R 3 2"'
loop_
_atom_site_label
_atom_site_type_symbol
_atom_site_fract_x
_atom_site_fract_y
_atom_site_fract_z
Na1 Na 0.0000 0.0000 0.0000
Dy1 Dy 0.0000 0.0000 0.5000
S1 S 0.0000 0.0000 0.2427
```

=====

DFT (PBE) results for a relaxed NaDySe2 crystal.

Calculated values
Crystal system   trigonal
E_form   -1.94 eV/atom
E   -59.17 eV/cell
Calculated volume   314.1 Å³/cell
E (MP2020)   -62.00 eV per cell

Geometry as CIF:
```
data_NaDySe2
_chemical_formula_sum 'Na3 Dy3 Se6'
_cell_length_a 4.1528
_cell_length_b 4.1528
_cell_length_c 21.0331
_cell_angle_alpha 90.00
_cell_angle_beta 90.00
_cell_angle_gamma 120.00
_symmetry_space_group_name_H-M 'R -3 m'
_symmetry_Int_Tables_number 166
_symmetry_space_group_name_Hall '-R 3 2"'
loop_

DFT (PBE) results for a relaxed NaDy3Ti2Sb2O14 crystal.

Calculated values
Crystal system   monoclinic
E_form   -3.14 eV/atom
E   -336.05 eV/cell
Calculated volume   546.6 Å³/cell
E (MP2020)   -355.28 eV per cell
Total magnetization   0.0 μB per formula unit
Distance to the lowest polymorph of the same formula   10.7 kJ/mol of formula units

Geometry as CIF:
```
data_NaDy3Ti2Sb2O14
_chemical_formula_sum 'Na2 Dy6 Ti4 Sb4 O28'
_cell_length_a 12.519
_cell_length_b 7.357
_cell_length_c 7.210
_cell_angle_alpha 90.00
_cell_angle_beta 124.61
_cell_angle_gamma 90.00
_symmetry_space_group_name_H-M 'C 1 2/m 1'
_symmetry_Int_Tables_number 12
_symmetry_space_group_name_Hall '-C 2y'
loop_
_atom_site_label
_atom_site_type_symbol
_atom_site_fract_x
_atom_site_fract_y
_atom_site_fract_z
Na1 Na 0.000 0.000 0.000
Dy1 Dy 0.000 0.000 0.500
Dy2 Dy 0.250 0.250 0.000
Ti1 Ti 0.000 0.500 0.000
Ti2 Ti 0.000 0.500 0.500
Sb1 Sb 0.250 0.250 0.500
O1 O 0.072 0.500 0.820
O2 O 0.124 0.298 0.579
O3 O 0.130 0.307 0.175
O4 O 0.133 0.000 0.869
O5 O 0.169 0.000 0.427
```

=====

DFT (PBE) results for a relaxed NaSrDySeO6 crystal.

Calculated values
Crystal system   cubic
E_form   -2.44 eV/atom
E   -244.39 eV/cell
Calculated volume   521.0 Å³/cell
E (MP2020)   -260.88 eV per cell
Total magnetization   0.0 μB per formula unit

Geometry as CIF:
```
data_NaSrDySeO6
_chemical_formula_sum 'Na4 Sr4 Dy4 Se4 O24'
_cell_length_a 8.047
_cell_length_b 8.047
_cell_length_c 8.047
_cell_angle_alpha 90.00
_cell_angle_beta 90.00
_cell_angle_gamma 90.00
_symmetry_space_group_name_H-M 'F -4 3 m'
_symmetry_Int_Tables_number 216
_symmetry_space_group_name_Hall 'F -4 2 3'
loop_
_atom_site_label
_atom_site_type_symbol
_atom_site_fract_x
_atom_site_fract_y
_atom_site_fract_z
Na1 Na 0.000 0.000 0.000
Sr1 Sr 0.000 0.000 0.500
Dy1 Dy 0.250 0.250 0.250
Se1 Se 0.250 0.250 0.750
O1 O 0.024 0.250 0.750
```

=====

DFT (PBE) results for a relaxed NaDyTi2O6 crystal.

Calculated values
Crystal system   orthorhombic
E_form   -3.44 eV/atom
E   -163.42 eV/cell
Calculated volume   225.6 Å³/cell
E (MP2020)   -171.67 eV per cell
Total magnetization   0.0 μB per formula unit

Geometry as CIF:
```
data_NaDyTi2O6
_chemical_formula_sum 'Na2 Dy2 Ti4 O12'
_cell_length_a 7.637
_cell_length_b 5.541
_cell_length_c 5.331
_cell_angle_alpha 90.00
_cell_angle_beta 90.00
_cell_angle_gamma 90.00
_symmetry_space_group_name_H-M 'P m n 21'
_symmetry_Int_Tables_number 31
_symmetry_space_group_name_Hall 'P 2ac -2'
loop_
_atom_site_label
_atom_site_type_symbol
_atom_site_fract_x
_atom_site_fract_y
_atom_site_fract_z
Na1 Na 0.000 0.217 0.000
Dy1 Dy 0.000 0.680 0.523
Ti1 Ti 0.248 0.235 0.517
O1 O 0.000 0.274 0.428
O2 O 0.000 0.775 0.107
O3 O 0.198 0.946 0.697
O4 O 0.209 0.465 0.783
```

=====

DFT (PBE) results for a relaxed NaDyS2 crystal.

Calculated values
Crystal system   trigonal
E_form   -2.09 eV/atom
E   -64.73 eV/cell
Calculated volume   274.7 Å³/cell
E (MP2020)   -67.75 eV per cell

Geometry as CIF:
```
data_NaDyS2
_chemical_formula_sum 'Na3 Dy3 S6'
_cell_length_a 3.9888
_cell_length_b 3.9888
_cell_length_c 19.9349
_cell_angle_alpha 90.00
_cell_angle_beta 90.00
_cell_angle_gamma 120.00
_symmetry_space_group_name_H-M 'R -3 m'
_symmetry_Int_Tables_number 166
_symmetry_space_group_name_Hall '-R 3 2"'
loop_
_atom_site_label
_atom_site_type_symbol
_atom_site_fract_x
_atom_site_fract_y
_atom_site_fract_z
Na1 Na 0.0000 0.0000 0.0000
Dy1 Dy 0.0000 0.0000 0.5000
S1 S 0.0000 0.0000 0.2427
```

=====

DFT (PBE) results for a relaxed NaDySe2 crystal.

Calculated values
Crystal system   trigonal
E_form   -1.94 eV/atom
E   -59.17 eV/cell
Calculated volume   314.1 Å³/cell
E (MP2020)   -62.00 eV per cell

Geometry as CIF:
```
data_NaDySe2
_chemical_formula_sum 'Na3 Dy3 Se6'
_cell_length_a 4.1528
_cell_length_b 4.1528
_cell_length_c 21.0331
_cell_angle_alpha 90.00
_cell_angle_beta 90.00
_cell_angle_gamma 120.00
_symmetry_space_group_name_H-M 'R -3 m'
_symmetry_Int_Tables_number 166
_symmetry_space_group_name_Hall '-R 3 2"'
loop_